• Contents:
/*
Starting from a cell relaxed with GGA+U, the X-ray powder pattern of Ni3ClF5 was computed for Cu Kα (weighted mean of Kα1 and Kα2).
Peak positions follow from Bragg's law for the DFT cell and can differ from measured ones.

```
18
Lattice="3.323 -10.761 0.000 3.323 10.761 0.000 0.000 0.000 3.209" Properties=species:S:1:pos:R:3 pbc="T T T"
Ni 0.000 0.000 0.000
Ni 3.323 7.236 1.605
Ni 3.323 3.925 0.000
Ni 3.323 0.000 1.605
Ni 3.323 -3.925 0.000
Ni 3.323 -7.236 1.605
Cl 3.323 2.278 1.605
Cl 3.323 -2.278 1.605
F 1.265 3.701 0.000
F 3.323 9.380 1.605
F 3.323 5.177 1.605
F 2.013 0.000 0.000
F 1.265 -3.701 0.000
F 5.381 3.701 0.000
F 4.633 0.000 0.000
F 3.323 -5.177 1.605
F 3.323 -9.380 1.605
F 5.381 -3.701 0.000
```

Top 10 peaks for 10 to 80 degrees two-theta, most intense first:
| Position (°2θ) | intensity |
| --- | --- |
| 26.83 | 100.0 |
| 33.43 | 92.4 |
| 24.82 | 81.3 |
| 49.47 | 59.4 |
| 51.74 | 55.1 |
| 64.24 | 41.7 |
| 57.41 | 25.5 |
| 39.02 | 19.1 |
| 55.29 | 17.3 |
| 37.61 | 16.5 |

=====

# 1
The following is a simulated powder diffraction line list of Ac3Pd4Rh2. It was derived from a structure optimized by DFT (GGA-PBE), using λ = 1.5418 Å (Cu Kα).
Peak positions follow from Bragg's law for the DFT cell and can differ from measured ones.

Main lines, low angle first (10 to 80 degrees two-theta):
index	2theta	intensity
1 0 0	22.8	13
1 0 6	31.7	100
1 1 0	40.0	47
0 0 12	44.2	12
2 0 6	51.8	25
1 1 12	61.1	27
2 1 6	67.4	23
1 0 18	73.5	9

Crystal structure
```
data_Ac3Pd4Rh2
_symmetry_space_group_name_H-M 'P -6 m 2'
_symmetry_Int_Tables_number 187
_symmetry_space_group_name_Hall 'P -6 2'
_cell_length_a 4.5124
_cell_length_b 4.5124
_cell_length_c 24.5633
_cell_angle_alpha 90.00
_cell_angle_beta 90.00
_cell_angle_gamma 120.00
loop_
_atom_site_label
_atom_site_fract_x
_atom_site_fract_y
_atom_site_fract_z
_atom_site_occupancy
Ac1 0.0000 0.0000 0.0801 1
Ac2 0.0000 0.0000 0.2495 1
Ac3 0.0000 0.0000 0.4159 1
Pd1 0.3333 0.6667 0.1670 1
Pd2 0.3333 0.6667 0.3333 1
Pd3 0.3333 0.6667 0.5000 1
Pd4 0.6667 0.3333 0.1671 1
Pd5 0.6667 0.3333 0.5000 1
Rh1 0.3333 0.6667 0.0000 1
Rh2 0.6667 0.3333 0.0000 1
Rh3 0.6667 0.3333 0.3334 1
```

# 2
The following is a simulated powder diffraction line list of Ac8Pd5Rh. It was derived from a structure optimized by DFT (GGA-PBE), using λ = 1.5418 Å (Cu Kα).
Peak positions follow from Bragg's law for the DFT cell and can differ from measured ones.

Main lines, low angle first (10 to 80 degrees two-theta):
index	2theta	intensity
2 0 2	26.4	30
1 0 3	29.5	52
3 1 0	29.8	100
1 2 3	35.2	28
1 3 2	35.3	46
3 2 3	44.6	21
4 1 3	48.8	19
4 3 1	48.9	23

Crystal structure
```
data_Ac8Pd5Rh
_symmetry_space_group_name_H-M 'I -4'
_symmetry_Int_Tables_number 82
_symmetry_space_group_name_Hall 'I -4'
_cell_length_a 9.4912
_cell_length_b 9.4912
_cell_length_c 9.5785
_cell_angle_alpha 90.00
_cell_angle_beta 90.00
_cell_angle_gamma 90.00
loop_
_atom_site_label
_atom_site_fract_x
_atom_site_fract_y
_atom_site_fract_z
_atom_site_occupancy
Ac1 0.0550 0.1915 0.3164 1
Ac2 0.0556 0.2993 0.9330 1
Pd1 0.0000 0.5000 0.2500 1
Pd2 0.1218 0.2500 0.6235 1
Rh1 0.0000 0.0000 0.0000 1
```

# 3
The following is a simulated powder diffraction line list of Ac5PdRh2. It was derived from a structure optimized by DFT (GGA-PBE), using λ = 1.5418 Å (Cu Kα).
Peak positions follow from Bragg's law for the DFT cell and can differ from measured ones.

Main lines, low angle first (10 to 80 degrees two-theta):
index	2theta	intensity
1 1 0	16.1	49
1 1 3	24.3	55
0 2 4	27.4	75
0 4 2	28.8	41
2 0 0	29.8	100
0 4 3	31.9	50
2 2 4	41.0	40
2 4 3	44.2	41

Crystal structure
```
data_Ac5PdRh2
_symmetry_space_group_name_H-M 'C m c m'
_symmetry_Int_Tables_number 63
_symmetry_space_group_name_Hall '-C 2c 2'
_cell_length_a 5.9951
_cell_length_b 13.6369
_cell_length_c 14.7856
_cell_angle_alpha 90.00
_cell_angle_beta 90.00
_cell_angle_gamma 90.00
loop_
_atom_site_label
_atom_site_fract_x
_atom_site_fract_y
_atom_site_fract_z
_atom_site_occupancy
Ac1 0.0000 0.0530 0.1184 1
*/

• Activity:
Next, type out the whole of the entries further above with every line break kept.

• Worked solution:
Starting from a cell relaxed with GGA+U, the X-ray powder pattern of Ni3ClF5 was computed for Cu Kα (weighted mean of Kα1 and Kα2).
Peak positions follow from Bragg's law for the DFT cell and can differ from measured ones.

```
18
Lattice="3.323 -10.761 0.000 3.323 10.761 0.000 0.000 0.000 3.209" Properties=species:S:1:pos:R:3 pbc="T T T"
Ni 0.000 0.000 0.000
Ni 3.323 7.236 1.605
Ni 3.323 3.925 0.000
Ni 3.323 0.000 1.605
Ni 3.323 -3.925 0.000
Ni 3.323 -7.236 1.605
Cl 3.323 2.278 1.605
Cl 3.323 -2.278 1.605
F 1.265 3.701 0.000
F 3.323 9.380 1.605
F 3.323 5.177 1.605
F 2.013 0.000 0.000
F 1.265 -3.701 0.000
F 5.381 3.701 0.000
F 4.633 0.000 0.000
F 3.323 -5.177 1.605
F 3.323 -9.380 1.605
F 5.381 -3.701 0.000
```

Top 10 peaks for 10 to 80 degrees two-theta, most intense first:
| Position (°2θ) | intensity |
| --- | --- |
| 26.83 | 100.0 |
| 33.43 | 92.4 |
| 24.82 | 81.3 |
| 49.47 | 59.4 |
| 51.74 | 55.1 |
| 64.24 | 41.7 |
| 57.41 | 25.5 |
| 39.02 | 19.1 |
| 55.29 | 17.3 |
| 37.61 | 16.5 |

=====

# 1
The following is a simulated powder diffraction line list of Ac3Pd4Rh2. It was derived from a structure optimized by DFT (GGA-PBE), using λ = 1.5418 Å (Cu Kα).
Peak positions follow from Bragg's law for the DFT cell and can differ from measured ones.

Main lines, low angle first (10 to 80 degrees two-theta):
index	2theta	intensity
1 0 0	22.8	13
1 0 6	31.7	100
1 1 0	40.0	47
0 0 12	44.2	12
2 0 6	51.8	25
1 1 12	61.1	27
2 1 6	67.4	23
1 0 18	73.5	9

Crystal structure
```
data_Ac3Pd4Rh2
_symmetry_space_group_name_H-M 'P -6 m 2'
_symmetry_Int_Tables_number 187
_symmetry_space_group_name_Hall 'P -6 2'
_cell_length_a 4.5124
_cell_length_b 4.5124
_cell_length_c 24.5633
_cell_angle_alpha 90.00
_cell_angle_beta 90.00
_cell_angle_gamma 120.00
loop_
_atom_site_label
_atom_site_fract_x
_atom_site_fract_y
_atom_site_fract_z
_atom_site_occupancy
Ac1 0.0000 0.0000 0.0801 1
Ac2 0.0000 0.0000 0.2495 1
Ac3 0.0000 0.0000 0.4159 1
Pd1 0.3333 0.6667 0.1670 1
Pd2 0.3333 0.6667 0.3333 1
Pd3 0.3333 0.6667 0.5000 1
Pd4 0.6667 0.3333 0.1671 1
Pd5 0.6667 0.3333 0.5000 1
Rh1 0.3333 0.6667 0.0000 1
Rh2 0.6667 0.3333 0.0000 1
Rh3 0.6667 0.3333 0.3334 1
```

# 2
The following is a simulated powder diffraction line list of Ac8Pd5Rh. It was derived from a structure optimized by DFT (GGA-PBE), using λ = 1.5418 Å (Cu Kα).
Peak positions follow from Bragg's law for the DFT cell and can differ from measured ones.

Main lines, low angle first (10 to 80 degrees two-theta):
index	2theta	intensity
2 0 2	26.4	30
1 0 3	29.5	52
3 1 0	29.8	100
1 2 3	35.2	28
1 3 2	35.3	46
3 2 3	44.6	21
4 1 3	48.8	19
4 3 1	48.9	23

Crystal structure
```
data_Ac8Pd5Rh
_symmetry_space_group_name_H-M 'I -4'
_symmetry_Int_Tables_number 82
_symmetry_space_group_name_Hall 'I -4'
_cell_length_a 9.4912
_cell_length_b 9.4912
_cell_length_c 9.5785
_cell_angle_alpha 90.00
_cell_angle_beta 90.00
_cell_angle_gamma 90.00
loop_
_atom_site_label
_atom_site_fract_x
_atom_site_fract_y
_atom_site_fract_z
_atom_site_occupancy
Ac1 0.0550 0.1915 0.3164 1
Ac2 0.0556 0.2993 0.9330 1
Pd1 0.0000 0.5000 0.2500 1
Pd2 0.1218 0.2500 0.6235 1
Rh1 0.0000 0.0000 0.0000 1
```

# 3
The following is a simulated powder diffraction line list of Ac5PdRh2. It was derived from a structure optimized by DFT (GGA-PBE), using λ = 1.5418 Å (Cu Kα).
Peak positions follow from Bragg's law for the DFT cell and can differ from measured ones.

Main lines, low angle first (10 to 80 degrees two-theta):
index	2theta	intensity
1 1 0	16.1	49
1 1 3	24.3	55
0 2 4	27.4	75
0 4 2	28.8	41
2 0 0	29.8	100
0 4 3	31.9	50
2 2 4	41.0	40
2 4 3	44.2	41

Crystal structure
```
data_Ac5PdRh2
_symmetry_space_group_name_H-M 'C m c m'
_symmetry_Int_Tables_number 63
_symmetry_space_group_name_Hall '-C 2c 2'
_cell_length_a 5.9951
_cell_length_b 13.6369
_cell_length_c 14.7856
_cell_angle_alpha 90.00
_cell_angle_beta 90.00
_cell_angle_gamma 90.00
loop_
_atom_site_label
_atom_site_fract_x
_atom_site_fract_y
_atom_site_fract_z
_atom_site_occupancy
Ac1 0.0000 0.0530 0.1184 1